Using spacy in RapidMiner

Brock Tibert
6 min readApr 19, 2021

In this post, I will run through how RapidMiner (RM) users can integrate python, and more specifically, spacy, into their RM processes. We will cover the steps necessary to run python code within RM, review a basic example to get the vector representation of a document, and finally, a worked example that will compare two models that classify articles based on their headline text.

To follow along, I am using RapidMiner 9.9 with the following extensions:

  1. Deep Learning and ND4J
  2. Python Scripting
  3. Operator Toolbox


While there are other text-specific extensions that we could use within RM, namely Text Processing and Word2Vec, the python scripting operator allows us to pull in advanced NLP toolkits, including spacy. The process to get up and running is relatively painless, but it does require a few steps.

........
Record 1
For Ba3ZnIr2O9, a crystal structure in the Materials Project, relaxed with GGA-PBE gives the simulated powder XRD pattern in this record (copper Kα).

Atomic structure:
Lattice parameters (Å, degrees): 5.8598 5.8598 14.4781 90.00 90.00 120.00
Sites, in units of the cell vectors:
1 Ba 0.0000 0.0000 0.2500
2 Ba 0.0000 0.0000 0.7500
3 Ba 0.3333 0.6667 0.0872
4 Ba 0.3333 0.6667 0.4128
5 Ba 0.6667 0.3333 0.5872
6 Ba 0.6667 0.3333 0.9128
7 Zn 0.0000 0.0000 0.0000
8 Zn 0.0000 0.0000 0.5000
9 Ir 0.3333 0.6667 0.6566
10 Ir 0.3333 0.6667 0.8434
11 Ir 0.6667 0.3333 0.1566
12 Ir 0.6667 0.3333 0.3434
13 O 0.0299 0.5150 0.7500
14 O 0.1711 0.3422 0.5829
15 O 0.1711 0.3422 0.9171
16 O 0.1711 0.8289 0.5829
17 O 0.1711 0.8289 0.9171
18 O 0.3422 0.1711 0.0829
19 O 0.3422 0.1711 0.4171
20 O 0.4850 0.5150 0.7500
21 O 0.4850 0.9701 0.7500
22 O 0.5150 0.0299 0.2500
23 O 0.5150 0.4850 0.2500
24 O 0.6578 0.8289 0.5829
25 O 0.6578 0.8289 0.9171
26 O 0.8289 0.1711 0.0829
27 O 0.8289 0.1711 0.4171
28 O 0.8289 0.6578 0.0829
29 O 0.8289 0.6578 0.4171
30 O 0.9701 0.4850 0.2500

Main lines, sorted by position (5° ≤ 2θ ≤ 70°):
- 4.789 Å, I = 33
- 2.947 Å, I = 49
- 2.930 Å, I = 100
- 2.515 Å, I = 31
- 2.078 Å, I = 27
- 1.908 Å, I = 19
- 1.695 Å, I = 19
- 1.692 Å, I = 20
- 1.599 Å, I = 18
- 1.465 Å, I = 18


Record 2
For K4BaU3O12, a crystal structure in the Materials Project, relaxed with GGA-PBE gives the simulated powder XRD pattern in this record (copper Kα).

Atomic structure:
Lattice parameters (Å, degrees): 7.6435 7.6435 7.6435 109.18 109.18 109.18
Sites, in units of the cell vectors:
1 K 0.0000 0.0000 0.0000
2 K 0.0000 0.0000 0.5000
3 K 0.0000 0.5000 0.0000
4 K 0.5000 0.0000 0.0000
5 Ba 0.5000 0.5000 0.5000
6 U 0.0000 0.5000 0.5000
7 U 0.5000 0.0000 0.5000
8 U 0.5000 0.5000 0.0000
9 O 0.0118 0.2902 0.2902
10 O 0.2552 0.5000 0.7448
11 O 0.2552 0.7448 0.5000
12 O 0.2902 0.0118 0.2902
13 O 0.2902 0.2902 0.0118
14 O 0.5000 0.2552 0.7448
15 O 0.5000 0.7448 0.2552
16 O 0.7098 0.7098 0.9882
17 O 0.7098 0.9882 0.7098
18 O 0.7448 0.2552 0.5000
19 O 0.7448 0.5000 0.2552
20 O 0.9882 0.7098 0.7098

Main lines, sorted by position (5° ≤ 2θ ≤ 70°):
- 6.297 Å, I = 52
- 4.429 Å, I = 78
- 3.608 Å, I = 28
- 3.148 Å, I = 100
- 3.115 Å, I = 96
- 2.214 Å, I = 60
- 1.824 Å, I = 21
- 1.805 Å, I = 40
- 1.798 Å, I = 20
- 1.405 Å, I = 19


Record 3
For Ti6O11, a crystal structure in the Materials Project, relaxed with GGA-PBE gives the simulated powder XRD pattern in this record (copper Kα).

Atomic structure:
Lattice parameters (Å, degrees): 5.6037 7.1898 9.8033 90.01 100.43 108.69
Sites, in units of the cell vectors:
1 Ti 0.1789 0.1934 0.4346
2 Ti 0.1815 0.6963 0.4391
3 Ti 0.2258 0.1388 0.0831
4 Ti 0.2291 0.6382 0.0857
5 Ti 0.3110 0.5721 0.7433
6 Ti 0.3136 0.0753 0.7430
7 Ti 0.6864 0.9247 0.2570
8 Ti 0.6890 0.4279 0.2567
9 Ti 0.7709 0.3618 0.9143
10 Ti 0.7742 0.8612 0.9169
11 Ti 0.8185 0.3037 0.5609
12 Ti 0.8211 0.8066 0.5654
13 O 0.0143 0.9060 0.3914
14 O 0.0543 0.5744 0.2574
........
**The records of crystals stop here**

Below, I will outline my approach.

  1. I am using conda to manage my python environments. More specifically, I am using miniconda, but that is a preference
  2. With conda installed, I created an environment called rapidminer
  3. I have a number of libraries installed (via pip) but specifically pandas and spacy[full]. You can review the conda environment file as well as the pip packages here:
  4. After the packages are installed, you will need to download the medium-sized english language model via python -m spacy download en_core_web_md.

Diffraction record for RbMoSe2. The powder diffractogram is calculated, not measured: it uses a DFT-relaxed cell (GGA-PBE, OQMD) and Cu Kα X-rays.
Peak positions follow from Bragg's law for the DFT cell and can differ from measured ones.

Largest 10 diffraction maxima, low angle first, 2θ from 10° to 80°:
two_theta	Rel. int.	index
14.40	53.4	0 2 0
14.90	57.8	1 1 0
25.37	56.3	1 3 0
25.83	63.2	1 1 1
28.65	100.0	2 2 -1
33.15	33.7	1 3 1
37.35	57.5	1 3 -2
45.77	27.9	3 3 0
48.00	30.1	1 5 -2
55.15	23.5	3 5 0

Structural model:
```
data_RbMoSe2
_space_group_name_H-M_alt 'C 1 2/c 1'
_space_group_IT_number 15
_space_group_name_Hall '-C 2yc'
_cell_length_a 7.4324
_cell_length_b 12.2988
_cell_length_c 5.9484
_cell_angle_alpha 90.00
_cell_angle_beta 113.92
_cell_angle_gamma 90.00
loop_
_atom_site_label
_atom_site_type_symbol
_atom_site_fract_x
_atom_site_fract_y
_atom_site_fract_z
Rb1 Rb 0.0000 0.1422 0.2500
Mo1 Mo 0.0000 0.4993 0.7500
Se1 Se 0.2009 0.3884 0.1040
```

* * * * *

Sr3MnCu2O9: computed powder diffractogram (Cu Ka), based on the GGA+U geometry in Alexandria.

Most intense lines, 15° ≤ 2θ ≤ 90°, in order of falling intensity:
Position (°2θ)	d (Å)	I/Imax	h k l
32.53	2.753	100	1 1 0
46.66	1.946	38	2 0 2
58.01	1.590	28	3 0 0
68.13	1.376	22	2 2 0
77.54	1.231	16	3 1 2
40.12	2.248	10	0 2 1
58.10	1.588	9	1 0 4
86.58	1.124	5	0 4 2
82.08	1.174	2	4 0 1
86.76	1.122	2	0 0 6
82.19	1.173	1	2 0 5

```
data_Sr3MnCu2O9
_cell_length_a 5.5089
_cell_length_b 5.5089
_cell_length_c 6.7346
_cell_angle_alpha 90.00
_cell_angle_beta 90.00
_cell_angle_gamma 120.00
_space_group_name_H-M_alt 'P -3 m 1'
_space_group_IT_number 164
_space_group_name_Hall '-P 3 2"'
loop_
_atom_site_label
_atom_site_type_symbol
_atom_site_fract_x

This part is important! The small model that ships with spacy does not include word vectors!

  1. Tell RapidMiner that you want to use the rapidminer conda environment by default. The python scripting operator will be able to make use of the tooling within this environment via the script we will pass in.

Basic Example

With the setup in place, we can now use spacy within our RapidMiner process! To just show the basics, we will create a simple document, convert it to a dataset (RM calls this an ExampleSet), and then pass this through the python operator which will parse the document and return the document vector (length 300).

One note. I do not believe that is possible to pass a column name as a parameter to the operator, so your dataset must have a field called text.

The last operator executes a script, one constructed to comply with what RM needs:

Records of crystals from another source follow =
........
1.
The following is a theoretical XRD peak list of CsNaEuNb5O15. It was derived from a GGA-PBE-relaxed structure, using Cu Ka.
Neutral-atom scattering factors, no anomalous dispersion.

Structure:
```
CsNaEuNb5O15
1.0
7.713 0.000 0.000
0.000 10.704 0.000
0.000 0.000 7.989
Cs Na Eu Nb O
2 2 2 10 30
Cartesian
0.000 0.086 0.000
0.000 10.618 3.994
3.856 5.258 0.039
3.856 5.446 4.034
0.000 5.213 0.024
0.000 5.490 4.019
1.944 3.284 2.096
1.944 7.419 6.090
1.975 3.263 6.066
1.975 7.440 2.071
3.856 0.023 1.790
3.856 10.681 5.785
5.738 3.263 6.066
5.738 7.440 2.071
5.768 3.284 2.096
5.768 7.419 6.090
0.000 2.971 6.238
0.000 2.988 1.658
0.000 7.716 5.653
0.000 7.733 2.244
1.423 5.349 1.990
1.423 5.354 5.984
1.593 3.506 3.986
1.593 7.198 7.980
2.071 3.610 7.972
2.071 7.094 3.978
2.414 1.410 5.972
2.413 1.426 2.021
2.413 9.278 6.015
2.414 9.294 1.977
3.856 0.037 7.958
3.856 3.823 5.740
3.856 3.832 2.184
3.856 6.872 6.178
3.856 6.881 1.746
3.856 10.667 3.963
5.298 1.410 5.972
5.299 1.426 2.021
5.299 9.278 6.015
5.298 9.294 1.977
5.641 3.610 7.972
5.641 7.094 3.978
6.120 3.506 3.986
6.120 7.198 7.980
6.289 5.349 1.990
6.289 5.354 5.984
```

The 6 most intense peaks (5° ≤ 2θ ≤ 70°), in order of rising 2θ:
- 2θ = 25.11°, I = 39
- 2θ = 27.87°, I = 57
- 2θ = 28.53°, I = 100
- 2θ = 30.23°, I = 39
- 2θ = 32.27°, I = 50
- 2θ = 54.52°, I = 39

2.
The following is a theoretical XRD peak list of CsEuSiS4. It was derived from a GGA-PBE-relaxed structure, using Cu Ka.
Neutral-atom scattering factors, no anomalous dispersion.

Structure:
```
CsEuSiS4
1.0
6.630 0.000 0.000
0.000 6.840 0.000
0.000 0.000 18.083
Cs Eu Si S
4 4 4 16
Cartesian
0.114 0.032 8.436
3.201 6.807 17.478
3.429 3.387 9.647
6.516 3.452 0.605
1.384 0.202 13.127
1.930 6.638 4.085
4.699 3.218 4.956
5.245 3.622 13.998
1.396 3.536 6.040
1.919 3.304 15.082
4.711 6.723 12.044
5.234 0.116 3.002
0.283 0.079 1.716
0.497 1.758 15.483
0.732 3.900 4.044
0.769 5.099 15.284
2.546 1.741 6.242
2.583 2.939 13.086
2.818 5.082 6.441
3.032 6.761 10.757
3.598 3.341 16.368
3.812 1.662 2.601
4.047 6.359 14.039
4.084 5.160 2.799
5.861 1.679 11.841
5.897 0.481 4.998
6.133 5.178 11.642
6.346 3.498 7.326
```

The 6 most intense peaks (5° ≤ 2θ ≤ 70°), in order of rising 2θ:
- 2θ = 9.78°, I = 66
- 2θ = 19.28°, I = 99
- 2θ = 23.59°, I = 69
- 2θ = 26.06°, I = 82
- 2θ = 28.68°, I = 100
- 2θ = 39.14°, I = 91

3.
The following is a theoretical XRD peak list of CsSr4Eu. It was derived from a GGA-PBE-relaxed structure, using Cu Ka.
Neutral-atom scattering factors, no anomalous dispersion.

Structure:
```
CsSr4Eu
1.0
0.000 5.715 5.715
5.715 0.000 5.715
5.715 5.715 0.000
Cs Sr Eu
1 4 1
Cartesian
0.000 0.000 0.000
4.295 4.295 4.295
7.134 7.134 4.295
7.134 4.295 7.134
4.295 7.134 7.134
8.572 8.572 8.572
```

The 6 most intense peaks (5° ≤ 2θ ≤ 70°), in order of rising 2θ:
- 2θ = 22.00°, I = 41
- 2θ = 25.85°, I = 100
- 2θ = 27.03°, I = 26
- 2θ = 41.03°, I = 39
- 2θ = 44.86°, I = 32
- 2θ = 62.41°, I = 25

~~~~~
........

import pandas as pd
import spacy
import numpy as np
# requires that the lang model has already been installed
# python -m spacy download en_core_web_md
# rm_main is a mandatory function,
def rm_main(data):
# load the nlp model
nlp = spacy.load("en_core_web_md")
docs = list(nlp.pipe(data.text))
vectors = [doc.vector for doc in docs]
vectors = np.array(vectors)
vectors = pd.DataFrame(vectors)

# will result in a single output port, and be an exampleset
return vectors

The only real trick above is that we need to use use the rm_main function to house our logic.

By running that simple, process, you will get a 1x300 ExampleSet for the document. Under the hood, spacy will parse the text, and using the pre-trained word vectors, create a document vector which is simply the average across the word vectors.

A Deep Learning Example with RapidMiner

With that basic example grounding the mechanics of how we can pull in the powerful spacy toolkit, we will now run through a more practical example.

Let’s step through this. First, the Build Dataset operator is a cached operator from Operator Toolbox. This allows us to cache the results of the subprocess, which is helpful as you are building your process iteratively.

There is a lot going on above, and while this certainly could be refactored, I did want to highlight RapidMiner does include building blocks to visually “code” our solution.

  1. We are using the headlines dataset, which can be found here
  2. I am selecting just what I need to be passed to spacy via the Execute Python operator, the trick is that I am using Rename to ensure that the headline column is now called text.
  3. Once the document is parsed via the python operator, I am adding an arbitrary ID to the dataset for the join
  4. I am using the full dataset, adding the same ID (I don’t believe we can row-align datasets in RM), and joining the data together. I am setting some roles for RapidMiner, and ensuring that our target y is treated as binomial by RM. The benefit of keeping this logic in the cache Operator is that we only have to load and pre-process the data via spacy once.

Above highlights the output of that first process. We have our id column that was created for the join, our target y, and a simple hack of using the cluster role in RM to retain the site variable as a “special attribute.” From here, we have our document vectors for each. Simply, each document can be viewed as a 300-length vector. We will use these vectors as the inputs to predict the column y.

The dataset I show above is then split in to train/test splits (70/30). The training and test splits are sent into the Build Models subprocess. Below represents the fit of two models.

Above, I am using the Multiply operator in order to feed the same training and test sets to the KNN and Deep Learning models. The kNN model is a simple k=5 model using cosine similarity. The deep learning model is more involved and will be discussed in a moment, but once both models are trained, the model is passed to the Apply Model operators and applied to the test set in both cases. The subprocess will have two outputs, each being a performance vector for each model.

Let’s dive into the Deep Learning operator, which is a subprocess.

The vector representation (300 attributes) will be fed into these layers. Above, all layers are Fully Connected Feed Forward layers, with the last operator representing the output layer.

With the models constructed, I am simply converting the performance output to a “dataset” and exporting the metrics I asked for as a dataset, as well as passing through the performance vector to see the Confusion Matrix and AUC outputs.

When comparing the two models, the arbitrary) construction of the Deep Learning model outperformed the simple KNN on F1 (.76 vs .81).


Hopefully above highlights what is possible in RapidMiner when you go beyond the “basic” operators. I (mostly) enjoy using RapidMiner to teach my IS841 course. The visual programming interface can be expressive (if you know where to look) and helps form the foundation of coding via “lego pieces.” Moreover, via the extensions marketplace, we can leverage the power of python and advanced toolkits like spacy.

Finally, all of my work in this post can be found in my github repo here:

Future posts will explore other explore alternative applications and use-cases of RapidMiner, including RM as an ETL tool.



Brock Tibert

IS Faculty (Questrom) — Embedded Data/Product/Analytics Advisor — @brocktibert